# Listing
+++
For Li2ZrCdIn2Pd2, a DFT-relaxed cell (PBE, OQMD) gives the simulated powder XRD pattern in this record (Cu Kα (weighted mean of Kα1 and Kα2)).

Top 6 peaks for 5 to 70 degrees two-theta, in order of rising 2θ:
(hkl)  2theta  Rel. int.
1 0 1  23.4  24
1 1 0  27.2  9
2 0 0  38.7  100
2 1 1  45.8  8
0 0 4  55.8  5
2 2 0  56.0  11

Atomic structure:
```
data_Li2ZrCdIn2Pd2
_chemical_formula_sum 'Li2 Zr1 Cd1 In2 Pd2'
_symmetry_space_group_name_H-M 'P 1'
_symmetry_Int_Tables_number 1
_cell_length_a 4.643
_cell_length_b 4.643
_cell_length_c 6.591
_cell_angle_alpha 90.00
_cell_angle_beta 90.00
_cell_angle_gamma 90.00
loop_
_symmetry_equiv_pos_as_xyz
'x,y,z'
loop_
_atom_site_label
_atom_site_type_symbol
_atom_site_fract_x
_atom_site_fract_y
_atom_site_fract_z
Li1 Li 0.000 0.500 0.226
Li2 Li 0.500 0.000 0.774
Zr1 Zr 0.000 0.000 0.500
Cd1 Cd 0.500 0.500 0.000
In1 In 0.000 0.000 0.000
In2 In 0.500 0.500 0.500
Pd1 Pd 0.000 0.500 0.737
Pd2 Pd 0.500 0.000 0.263
```

----------

Computed powder diffractogram
Compound: ThCuH6Pt
Radiation: λ = 1.5418 Å (Cu Kα)
Structure: a crystal structure in Alexandria, relaxed with GGA-PBE
Peak positions follow from Bragg's law for the DFT cell and can differ from measured ones.

Cell and atoms:
a = 4.5736 Å, b = 4.5736 Å, c = 4.4057 Å
α = 90.00°, β = 90.00°, γ = 120.00°
Space group P-6m2 (No. 187)
Asymmetric unit:
Th (0.0000, 0.0000, 0.0000) [1 per cell]
Cu (0.3333, 0.6667, 0.5000) [1 per cell]
H (0.0053, 0.5026, 0.2143) [6 per cell]
Pt (0.6667, 0.3333, 0.5000) [1 per cell]

Principal peaks in the range 15° ≤ 2θ ≤ 90°, most intense first:
two_theta	I (rel.)	hkl
30.35	1000	1 0 1
39.40	427	1 1 0
58.15	281	1 1 2
50.53	251	2 0 1
65.89	227	2 1 1
22.45	144	1 0 0
40.97	126	0 0 2
68.09	103	1 0 3
85.80	96	3 0 2
71.45	75	3 0 0
81.62	63	2 0 3
84.79	49	2 2 0

Computed powder diffractogram
Compound: Ac3SbPd8Pb2
Radiation: λ = 1.5418 Å (Cu Kα)
Structure: a crystal structure in Alexandria, relaxed with GGA-PBE
Peak positions follow from Bragg's law for the DFT cell and can differ from measured ones.

Cell and atoms:
a = 5.7590 Å, b = 5.7590 Å, c = 11.0633 Å
α = 90.00°, β = 90.00°, γ = 120.00°
Space group P-3m1 (No. 164)
Asymmetric unit:
Ac (0.0000, 0.0000, 0.0000) [1 per cell]
Ac (0.3333, 0.6667, 0.5875) [2 per cell]
Sb (0.0000, 0.0000, 0.5000) [1 per cell]
Pd (0.1647, 0.3295, 0.2945) [6 per cell]
Pd (0.3333, 0.6667, 0.8520) [2 per cell]
Pb (0.3333, 0.6667, 0.1004) [2 per cell]

Principal peaks in the range 15° ≤ 2θ ≤ 90°, most intense first:
two_theta	I (rel.)	hkl
37.17	1000	0 1 4
31.06	936	1 1 0
39.65	686	2 0 2
35.13	593	1 1 2
59.33	521	1 2 4
24.02	418	0 1 2
36.95	403	0 2 1
64.75	344	2 2 0
77.09	244	3 1 4
30.14	238	1 0 3
55.25	190	3 0 0
79.20	182	0 2 8

Computed powder diffractogram
Compound: Mn5Os3
Radiation: λ = 1.5418 Å (Cu Kα)
Structure: a crystal structure in Alexandria, relaxed with GGA-PBE
Peak positions follow from Bragg's law for the DFT cell and can differ from measured ones.

Cell and atoms:
a = 7.2944 Å, b = 7.4089 Å, c = 3.7357 Å
α = 90.00°, β = 90.00°, γ = 90.00°
Space group Cmmm (No. 65)
Asymmetric unit:
Mn (0.0000, 0.0000, 0.0000) [2 per cell]
Mn (0.2489, 0.0000, 0.5000) [4 per cell]
Mn (0.2500, 0.2500, 0.0000) [4 per cell]
Os (0.0000, 0.2439, 0.5000) [4 per cell]
Os (0.0000, 0.5000, 0.0000) [2 per cell]

Principal peaks in the range 15° ≤ 2θ ≤ 90°, most intense first:
two_theta	I (rel.)	hkl
42.37	1000	2 2 1
24.41	226	2 0 0
34.08	196	0 2 1
48.75	166	0 0 2
49.19	160	0 4 0
50.02	153	4 0 0
86.71	125	2 2 3
87.37	120	2 6 1
88.62	119	6 2 1
71.77	100	0 4 2
72.43	99	4 0 2
72.78	97	4 4 0

Computed powder diffractogram
Compound: CeAsS
Radiation: λ = 1.5418 Å (Cu Kα)
Structure: a crystal structure in Alexandria, relaxed with GGA-PBE
Peak positions follow from Bragg's law for the DFT cell and can differ from measured ones.

Cell and atoms:
a = 3.9415 Å, b = 3.9415 Å, c = 8.4435 Å
α = 90.00°, β = 90.00°, γ = 90.00°
Space group P4/nmm (No. 129, origin choice 2)
Asymmetric unit:
+++

# Activity
What is needed: start at the top of the calculation results further above and retype each line, ending with the one that has "0.774".

# Reply
For Li2ZrCdIn2Pd2, a DFT-relaxed cell (PBE, OQMD) gives the simulated powder XRD pattern in this record (Cu Kα (weighted mean of Kα1 and Kα2)).

Top 6 peaks for 5 to 70 degrees two-theta, in order of rising 2θ:
(hkl)  2theta  Rel. int.
1 0 1  23.4  24
1 1 0  27.2  9
2 0 0  38.7  100
2 1 1  45.8  8
0 0 4  55.8  5
2 2 0  56.0  11

Atomic structure:
```
data_Li2ZrCdIn2Pd2
_chemical_formula_sum 'Li2 Zr1 Cd1 In2 Pd2'
_symmetry_space_group_name_H-M 'P 1'
_symmetry_Int_Tables_number 1
_cell_length_a 4.643
_cell_length_b 4.643
_cell_length_c 6.591
_cell_angle_alpha 90.00
_cell_angle_beta 90.00
_cell_angle_gamma 90.00
loop_
_symmetry_equiv_pos_as_xyz
'x,y,z'
loop_
_atom_site_label
_atom_site_type_symbol
_atom_site_fract_x
_atom_site_fract_y
_atom_site_fract_z
Li1 Li 0.000 0.500 0.226
Li2 Li 0.500 0.000 0.774